### Listing
~~~
[1]
19
Properties=species:S:1:pos:R:3 method="wB97M-V/def2-TZVPD" homo_lumo_gap_ev=5.84 total_charge=-1 total_energy_ha=-327.5472 e_above_lowest_kj_mol=390.74
O 3.44 1.26 0.51
N -0.83 -0.66 0.08
C -0.70 0.54 -2.14
C 0.10 -0.52 1.20
C 1.56 -0.31 0.76
C 2.31 0.95 0.92
C -0.91 0.60 -0.61
H 0.05 -1.48 1.71
H 2.07 -1.21 0.42
H -1.53 0.83 -2.79
H -0.65 -0.54 -2.33
H 0.17 1.09 -2.51
H -0.24 1.36 -0.18
H 1.61 0.48 -0.16
H 1.80 1.65 1.61
H -0.27 0.32 1.84
H -3.13 -2.98 0.76
H -1.88 1.17 -0.44
H -2.96 -2.55 1.34

---

[2]
19
Properties=species:S:1:pos:R:3 method="wB97M-V/def2-TZVPD" homo_lumo_gap_ev=5.66 total_charge=-1 total_energy_ha=-327.6333 e_above_lowest_kj_mol=164.87
O -3.24 -0.79 -1.34
N 2.81 -0.16 1.95
C -2.37 -0.22 -0.54
C 1.43 0.71 -0.03
C -0.10 0.88 -0.08
C 2.11 -0.62 0.79
C -0.96 0.19 -1.17
H 2.13 0.45 2.33
H -1.13 0.74 -2.14
H 1.98 0.61 -0.94
H -2.83 0.80 -0.20
H -0.52 -0.76 -1.39
H 1.85 1.51 0.60
H 1.30 -1.18 1.13
H 2.98 -0.95 2.61
H 2.75 -1.16 0.09
H -0.46 0.45 0.92
H -2.15 -0.80 0.37
H -0.27 2.02 -0.17

---

[3]
19
Properties=species:S:1:pos:R:3 method="wB97M-V/def2-TZVPD" homo_lumo_gap_ev=4.99 total_charge=-1 total_energy_ha=-327.5354 e_above_lowest_kj_mol=421.89
O -3.18 0.31 -0.28
N 3.81 0.10 0.64
C -0.50 -0.03 -0.82
C 3.27 -0.97 0.01
C -2.45 -0.05 0.78
C -1.10 -0.74 0.38
C -0.28 1.46 -0.53
H 2.76 0.30 0.29
H 3.53 -1.11 -1.06
H -2.93 -0.73 1.54
H 0.30 1.94 -1.33
H 2.56 -1.71 0.41
H -1.25 1.95 -0.51
H -0.43 -0.78 1.23
H 0.23 1.64 0.43
H -1.28 -0.08 -1.60
H -1.36 -1.80 0.13
~~~

### To do
Next, print the part of the calculation results further up that starts with the line with "1.61 0.48" and stops after the one with "-0.53".

### Written answer
H 1.61 0.48 -0.16
H 1.80 1.65 1.61
H -0.27 0.32 1.84
H -3.13 -2.98 0.76
H -1.88 1.17 -0.44
H -2.96 -2.55 1.34

---

[2]
19
Properties=species:S:1:pos:R:3 method="wB97M-V/def2-TZVPD" homo_lumo_gap_ev=5.66 total_charge=-1 total_energy_ha=-327.6333 e_above_lowest_kj_mol=164.87
O -3.24 -0.79 -1.34
N 2.81 -0.16 1.95
C -2.37 -0.22 -0.54
C 1.43 0.71 -0.03
C -0.10 0.88 -0.08
C 2.11 -0.62 0.79
C -0.96 0.19 -1.17
H 2.13 0.45 2.33
H -1.13 0.74 -2.14
H 1.98 0.61 -0.94
H -2.83 0.80 -0.20
H -0.52 -0.76 -1.39
H 1.85 1.51 0.60
H 1.30 -1.18 1.13
H 2.98 -0.95 2.61
H 2.75 -1.16 0.09
H -0.46 0.45 0.92
H -2.15 -0.80 0.37
H -0.27 2.02 -0.17

---

[3]
19
Properties=species:S:1:pos:R:3 method="wB97M-V/def2-TZVPD" homo_lumo_gap_ev=4.99 total_charge=-1 total_energy_ha=-327.5354 e_above_lowest_kj_mol=421.89
O -3.18 0.31 -0.28
N 3.81 0.10 0.64
C -0.50 -0.03 -0.82
C 3.27 -0.97 0.01
C -2.45 -0.05 0.78
C -1.10 -0.74 0.38
C -0.28 1.46 -0.53